I wouldn’t expect you to feel otherwise, Miz.
This isn’t a matter of ‘feeling’ anything. There are no Amarr politics that does not include the end of my people as a free nation. The Sarum path at least shows some backbone, strength and honesty in its rather unwavering hostility. I genuinely don’t understand why you think the nuances and differences between different Amarr houses matter, when the underlying and universal end-goal of total cluster domination and enslavement is a core of all of them.
It’s not even the House politics, though as Miz says, none of them are benevolent. A core component of the Amarr faith is the divine duty to make everyone else follow the Amarr faith. And in the Amarr faith, pretty much every aspect of life is covered, because Amarr faith and Amarr civil law are the same thing.
There is no room in the Amarr faith for other cultures to even exist.
Hey now, House Kor-Azor highly favors diplomacy over conquest and do not forget it was a Kador Emperor that made peace with the Republic after the Rebellion and wrote the Pax Amarria. House Ardishapur is also inwardly focused and very unlikely to attempt a military Reclaiming. But the reality is, with CONCORD and the Federation around, with a myriad of other enemies at our gates like the Blood Raiders, Drifters and Sansha’s Nation, the Empire will not be in any position to fight a massive war against another empire any time soon.
You really have a warped view of how we work in the current era. I suspect you maintain these views mainly to feed into your own sense of victimhood and urgency so you can more easily justify violence and hate speech. It’s alright, I understand; we’re scary and you are waving your arms around, crying for help against the big, mean Amarr Empire. I’m just letting you know, we’re over here not paying much attention to you, despite the threat you pose, since there are currently far bigger fish to fry than a bunch of angry, half-naked painted people flying ships that succumb to corrosion as easily as they do laser fire.
Now, calm down already and do something more important, like figuring out how to stop your ships from rusting. In space. In the complete absence of water and oxygen.
That’s why you’re, you know, paying attention to her, right? Spin it any way you like (yeah, that’s right, a goon calling out spin. Who better to recognize it?), your culture’s highest ‘moral’ duty is the eradication of all other cultures. If diplomacy works, great. Where it fails, bloodshed will always be on the table. Consent is ultimately meaningless.
You should just drive from planet to planet in white ships with sliding side doors, offering candy to small children. Wait… Purity SKINS… well, you’re getting there, at least.
Oh dear, Aldieboo. You sound rather riled up.
Let’s see here. Pretending that because a few houses are less militant than others somehow means their end-goal isn’t the exact same cluster domination by different means, check. Attempting to distract by shadin’ the speaker rather than the words, check. “Please stop saying things because we totally aren’t listening, in spite of responding.”, check. Referring to a hull color as ‘rust’ because this hasn’t been eye-rollingly old for over a decade already, check. Doing it twice in fact, apparently running out of steam and needles, check.
Should have thrown in some #NoLastMedal for a bingo win there.
Don’t get me wrong, it’s rather satisfying to see you get in a tiff but at the same time it’s kind of disappointing. I expect better from you, Aldieboo. You’re supposed to be a Lord Consort and a bit more dignified than this drivel. Learn from the ball and chain, hmm?
Ice duh, and warm mining lasers
Your point is well made - can we make arrangements for the repatriation of our citizen?
Repatriation? Some time within this week they will be shuttled via neutral logistics to either Jita or Samanui and given a few isk for additional travel/trauma. It is a standing practice for Non-Hostile Target PMC to treat Caldari “captives” as non military entities as we do not specifically fight the Caldari. By practice only reacting in self defense during our anti-piracy training in Black Rise. The only exception is if they assault our ship/ground crews upon rescue. That would result in their execution.
If there is a process more beneficial to our little guest I would love to hear it. At the moment, with us being based in a region that is largely hostile towards us I don’t feel additional risks are warranted given its already a more difficult process than simply consigning them to the FDU who while it may grant us favor with other groups in the area are currently considered hostile to our operations as well, only slightly less than StaPro.
Well it made Mitara laugh, and that’s all that matters.
I’d make a low standards joke, but I suppose that’d be low hanging fruit.
Given the context of Minmatar having been subject to slavery by the Amarr, I can’t think of any rationalization that would adequately justify this idea. Nor do I consider this an idea worth entertaining any further.
Theres an easy way to do that. Legalize slavery of Amarr.
Not even then. Especially not then. Becoming what we oppose would be horrific enough… doing it for spite? I’ll die first, thanks.
Simply Kim’s logic thrown back… Obviously Tannia isn’t Kim but it worked in my head.
Yeah, well, she’s basically the poster-child for what the Caldari have to fear from the Amarr: slavish adherence to the party line, confident in the infallibility of orthodoxy, hell-bent on the destruction of anything that disagrees with her. As ‘think and say whatever you want, we’re going to ignore you and do what we do’ as the Caldari generally are, that one is so defensive and desperate to respond to any perceived attacks, she’d fit in perfectly with any former slaves in Amarr who’d gotten a taste of sycophantic privilege.
ETA: Obviously, I don’t mean the Gallente pilot, either.
No, no I am not.
(The text is interrupted by materials data)
~~~
Ba3ScN3 | the Materials Project | PBE | relaxed; E_form = -0.731 eV/atom; final energy = -82.26 eV per cell
1.0
8.552 0.000 0.000
-4.276 7.406 0.000
0.000 0.000 5.676
Ba Sc N
6 2 6
direct
0.931 0.648 0.250 Ba
0.717 0.069 0.250 Ba
0.352 0.283 0.250 Ba
0.069 0.352 0.750 Ba
0.283 0.931 0.750 Ba
0.648 0.717 0.750 Ba
0.667 0.333 0.750 Sc
0.333 0.667 0.250 Sc
0.881 0.593 0.750 N
0.713 0.119 0.750 N
0.407 0.287 0.750 N
0.119 0.407 0.250 N
0.287 0.881 0.250 N
0.593 0.713 0.250 N

---

Ga4Cu9 | the Materials Project | PBE | relaxed; E_form = -0.108 eV/atom; final energy = -201.64 eV per cell
1.0
-7.972 -2.505 -2.573
1.067 -7.635 4.125
-3.428 3.447 7.267
Ga Cu
16 36
direct
0.881 0.881 0.119 Ga
0.881 0.119 0.881 Ga
0.119 0.881 0.881 Ga
0.119 0.119 0.119 Ga
0.465 0.191 0.809 Ga
0.191 0.191 0.535 Ga
0.191 0.465 0.809 Ga
0.465 0.809 0.191 Ga
0.191 0.809 0.465 Ga
0.191 0.535 0.191 Ga
0.535 0.191 0.191 Ga
0.809 0.191 0.465 Ga
0.809 0.465 0.191 Ga
0.535 0.809 0.809 Ga
0.809 0.809 0.535 Ga
0.809 0.535 0.809 Ga
0.172 0.172 0.828 Cu
0.172 0.828 0.172 Cu
0.828 0.172 0.172 Cu
0.828 0.828 0.828 Cu
0.395 0.395 0.605 Cu
0.395 0.605 0.395 Cu
0.605 0.395 0.395 Cu
0.605 0.605 0.605 Cu
0.674 0.674 0.326 Cu
0.674 0.326 0.674 Cu
0.326 0.674 0.674 Cu
0.326 0.326 0.326 Cu
0.000 0.000 0.356 Cu
0.000 0.644 0.000 Cu
0.644 0.000 0.000 Cu
0.000 0.000 0.644 Cu
0.000 0.356 0.000 Cu
0.356 0.000 0.000 Cu
0.500 0.500 0.857 Cu
0.500 0.143 0.500 Cu
0.143 0.500 0.500 Cu
0.500 0.500 0.143 Cu
0.500 0.857 0.500 Cu
0.857 0.500 0.500 Cu
0.967 0.685 0.315 Cu
0.685 0.685 0.033 Cu
0.685 0.967 0.315 Cu
0.967 0.315 0.685 Cu
0.685 0.315 0.967 Cu
0.685 0.033 0.685 Cu
0.033 0.685 0.685 Cu
0.315 0.685 0.967 Cu
0.315 0.967 0.685 Cu
0.033 0.315 0.315 Cu
0.315 0.315 0.033 Cu
0.315 0.033 0.315 Cu

---

Sn3O4 | the Materials Project | PBE | relaxed; E_form = -1.579 eV/atom; final energy = -80.26 eV per cell
1.0
-0.549 0.000 -6.079
0.000 -5.854 0.000
-7.161 0.000 0.661
Sn O
6 8
direct
0.759 0.501 0.201 Sn
0.741 0.501 0.799 Sn
0.241 0.499 0.799 Sn
0.259 0.499 0.201 Sn
0.000 0.000 0.500 Sn
0.500 0.000 0.500 Sn
0.009 0.719 0.289 O
0.491 0.719 0.711 O
0.991 0.281 0.711 O
0.509 0.281 0.289 O
0.992 0.733 0.729 O
0.508 0.733 0.271 O
0.008 0.267 0.271 O
0.492 0.267 0.729 O

---

KS | the Materials Project | PBE | relaxed; E_form = -0.713 eV/atom; final energy = -6.17 eV per cell
1.0
-0.330 -1.446 -3.539
-2.909 -2.210 1.174
-2.481 2.784 -0.906
K S
1 1
direct
0.000 0.000 0.000 K
0.500 0.500 0.500 S

=====

Material: K2TbF6
Method: DFT, PBE-GGA
State: optimized geometry

Properties
energy of formation: -3.3680 eV/atom

extended XYZ file:
```
18
Lattice="3.498 -5.749 0.000 3.498 5.749 0.000 -0.081 0.000 7.424" Properties=species:S:1:pos:R:3 pbc="T T T"
~~~
You’re welcome?
No, that process is entirely satisfactory. If you feel that the Citizen breached an international or State law, please don’t forget to append the evidence to your claim and forward that to the State Protectorate.
We appreciate your restraint and decency.
Ugh. The idea of a Caldari arguing to spread the concept of legalised slavery?
Well, this is Kim we’re talking about, so, it’s not really surprising.